== Data ==
'''
This record from the Materials Project describes crystalline BaSrMgFe4O8 at its relaxed geometry. The functional is PBE+U.

Computed properties:
energy of formation: -2.04 eV/atom
total moment: 18.0 μB per formula unit
energy above the most stable polymorph in this dataset: 0.000 eV/atom
VASP energy: -6.314 eV per atom

Cell lengths 5.729, 5.729, 8.338 Å; angles 93.02, 93.02, 119.91 degrees
Atoms (fractional coordinates):
Ba: 0.000 0.000 0.000
Sr: 0.952 0.952 0.492
Mg: 0.394 0.394 0.364
Fe: 0.341 0.674 0.723
Fe: 0.367 0.747 0.173
Fe: 0.674 0.341 0.723
Fe: 0.747 0.367 0.173
O: 0.000 0.648 0.665
O: 0.066 0.365 0.262
O: 0.346 0.657 0.942
O: 0.365 0.066 0.262
O: 0.392 0.392 0.604
O: 0.648 0.000 0.665
O: 0.657 0.346 0.942
O: 0.680 0.680 0.260

=====

(1)
First-principles (GGA+U) data for Rb3V5O14 after structural relaxation, as listed in the Materials Project.

a = 8.799 Å, b = 8.799 Å, c = 5.554 Å
α = 90.00°, β = 90.00°, γ = 120.00°
Element x y z (fractional)
Rb: 0.000 0.613 0.000
Rb: 0.387 0.387 0.000
Rb: 0.613 0.000 0.000
V: 0.000 0.230 0.496
V: 0.230 0.000 0.496
V: 0.333 0.667 0.479
V: 0.667 0.333 0.479
V: 0.770 0.770 0.496
O: 0.000 0.255 0.789
O: 0.000 0.832 0.438
O: 0.168 0.168 0.438
O: 0.169 0.460 0.370
O: 0.255 0.000 0.789
O: 0.290 0.831 0.370
O: 0.333 0.667 0.778
O: 0.460 0.169 0.370
O: 0.540 0.710 0.370
O: 0.667 0.333 0.778
O: 0.710 0.540 0.370
O: 0.745 0.745 0.789
O: 0.831 0.290 0.370
O: 0.832 0.000 0.438

Values from the calculation:
- VASP energy: -152.53 eV/f.u.
- Energy of formation from the pure elements: -2410 meV per atom

(2)
First-principles (GGA+U) data for MgMn2P2O8F2 after structural relaxation, as listed in the Materials Project.

a = 5.203 Å, b = 5.419 Å, c = 7.494 Å
α = 107.61°, β = 107.96°, γ = 97.90°
Element x y z (fractional)
Mg: 0.000 0.000 0.000
Mn: 0.452 0.740 0.175
Mn: 0.945 0.254 0.654
P: 0.357 0.304 0.404
P: 0.544 0.206 0.928
O: 0.219 0.106 0.822
O: 0.220 0.383 0.561
O: 0.254 0.409 0.231
O: 0.257 0.990 0.286
O: 0.631 0.513 0.031
O: 0.643 0.051 0.068
O: 0.676 0.404 0.514
O: 0.708 0.126 0.785
F: 0.111 0.652 0.926
F: 0.773 0.881 0.415

Values from the calculation:
- VASP energy: -104.27 eV/f.u.
- Size of the total moment: 0.5333 μB per atom
- Energy of formation from the pure elements: -2657 meV per atom
- Excess energy over the best structure of this formula in the dataset: 0.0181 eV per atom

(3)
First-principles (GGA+U) data for Li2FeSi4O10 after structural relaxation, as listed in the Materials Project.

a = 6.931 Å, b = 7.694 Å, c = 9.578 Å
α = 69.65°, β = 79.80°, γ = 63.95°
Element x y z (fractional)
Li: 0.101 0.195 0.408
Li: 0.291 0.308 0.953
Li: 0.709 0.692 0.047
Li: 0.899 0.805 0.592
Fe: 0.430 0.801 0.574
Fe: 0.570 0.199 0.426
Si: 0.113 0.766 0.856
Si: 0.203 0.566 0.184
Si: 0.244 0.124 0.748
Si: 0.311 0.906 0.225
Si: 0.689 0.094 0.775
Si: 0.756 0.876 0.252
Si: 0.797 0.434 0.816
Si: 0.887 0.234 0.144
O: 0.051 0.339 0.763
O: 0.155 0.135 0.114
O: 0.184 0.702 0.707
O: 0.188 0.937 0.862
O: 0.204 0.566 0.008
O: 0.249 0.901 0.394
O: 0.301 0.110 0.581
O: 0.308 0.722 0.178
O: 0.324 0.339 0.287
O: 0.441 0.117 0.829
O: 0.559 0.883 0.171
O: 0.676 0.661 0.713
O: 0.692 0.278 0.822
O: 0.699 0.890 0.419
O: 0.751 0.099 0.606
O: 0.796 0.434 0.992
O: 0.812 0.063 0.138
O: 0.816 0.298 0.293
O: 0.845 0.865 0.886
O: 0.949 0.661 0.237

Values from the calculation:
- VASP energy: -123.40 eV/f.u.
- Size of the total moment: 0.2353 μB per atom
- Energy of formation from the pure elements: -2886 meV per atom
- Excess energy over the best structure of this formula in the dataset: 0.0000 eV per atom

(4)
First-principles (GGA+U) data for LiFeP3H8O13 after structural relaxation, as listed in the Materials Project.

a = 7.311 Å, b = 7.792 Å, c = 10.120 Å
α = 83.80°, β = 74.28°, γ = 76.82°
Element x y z (fractional)
Li: 0.196 0.186 0.236
Li: 0.804 0.814 0.764
Fe: 0.000 0.000 0.000
Fe: 0.000 0.500 0.500
P: 0.243 0.804 0.477
P: 0.330 0.807 0.745
P: 0.408 0.543 0.271
P: 0.592 0.457 0.729
P: 0.670 0.193 0.255
'''

== Exercise ==
Next, find "elements: -2410" and "0.271" in the notes further up, and duplicate these two lines and those between.

== Solution ==
- Energy of formation from the pure elements: -2410 meV per atom

(2)
First-principles (GGA+U) data for MgMn2P2O8F2 after structural relaxation, as listed in the Materials Project.

a = 5.203 Å, b = 5.419 Å, c = 7.494 Å
α = 107.61°, β = 107.96°, γ = 97.90°
Element x y z (fractional)
Mg: 0.000 0.000 0.000
Mn: 0.452 0.740 0.175
Mn: 0.945 0.254 0.654
P: 0.357 0.304 0.404
P: 0.544 0.206 0.928
O: 0.219 0.106 0.822
O: 0.220 0.383 0.561
O: 0.254 0.409 0.231
O: 0.257 0.990 0.286
O: 0.631 0.513 0.031
O: 0.643 0.051 0.068
O: 0.676 0.404 0.514
O: 0.708 0.126 0.785
F: 0.111 0.652 0.926
F: 0.773 0.881 0.415

Values from the calculation:
- VASP energy: -104.27 eV/f.u.
- Size of the total moment: 0.5333 μB per atom
- Energy of formation from the pure elements: -2657 meV per atom
- Excess energy over the best structure of this formula in the dataset: 0.0181 eV per atom

(3)
First-principles (GGA+U) data for Li2FeSi4O10 after structural relaxation, as listed in the Materials Project.

a = 6.931 Å, b = 7.694 Å, c = 9.578 Å
α = 69.65°, β = 79.80°, γ = 63.95°
Element x y z (fractional)
Li: 0.101 0.195 0.408
Li: 0.291 0.308 0.953
Li: 0.709 0.692 0.047
Li: 0.899 0.805 0.592
Fe: 0.430 0.801 0.574
Fe: 0.570 0.199 0.426
Si: 0.113 0.766 0.856
Si: 0.203 0.566 0.184
Si: 0.244 0.124 0.748
Si: 0.311 0.906 0.225
Si: 0.689 0.094 0.775
Si: 0.756 0.876 0.252
Si: 0.797 0.434 0.816
Si: 0.887 0.234 0.144
O: 0.051 0.339 0.763
O: 0.155 0.135 0.114
O: 0.184 0.702 0.707
O: 0.188 0.937 0.862
O: 0.204 0.566 0.008
O: 0.249 0.901 0.394
O: 0.301 0.110 0.581
O: 0.308 0.722 0.178
O: 0.324 0.339 0.287
O: 0.441 0.117 0.829
O: 0.559 0.883 0.171
O: 0.676 0.661 0.713
O: 0.692 0.278 0.822
O: 0.699 0.890 0.419
O: 0.751 0.099 0.606
O: 0.796 0.434 0.992
O: 0.812 0.063 0.138
O: 0.816 0.298 0.293
O: 0.845 0.865 0.886
O: 0.949 0.661 0.237

Values from the calculation:
- VASP energy: -123.40 eV/f.u.
- Size of the total moment: 0.2353 μB per atom
- Energy of formation from the pure elements: -2886 meV per atom
- Excess energy over the best structure of this formula in the dataset: 0.0000 eV per atom

(4)
First-principles (GGA+U) data for LiFeP3H8O13 after structural relaxation, as listed in the Materials Project.

a = 7.311 Å, b = 7.792 Å, c = 10.120 Å
α = 83.80°, β = 74.28°, γ = 76.82°
Element x y z (fractional)
Li: 0.196 0.186 0.236
Li: 0.804 0.814 0.764
Fe: 0.000 0.000 0.000
Fe: 0.000 0.500 0.500
P: 0.243 0.804 0.477
P: 0.330 0.807 0.745
P: 0.408 0.543 0.271